2000 report

Directorate A: Statistical information systems; research and data analysis; technical cooperation with Phare and Tacis countries
Unit A-5: Technical cooperation with Phare and Tacis countries /

Russian Federation

2000 Country report

Overview of the Statistical System

Table of Contents

1. Institutional aspects 3

1.1. Mission 3

1.2. Structure and organisational aspects 3

1.3. Legal setting 4

1.4. Relationship with Central and Local Governments 5

1.5. Relationship with users and dissemination policies 6

1.6. Relationship with suppliers 8

1.7. Planning and programming 9

1.8. Finance and budgeting 9

1.9. Staffing, staff recruitment and development 10

1.10. Training policy 11

2. Statistical infrastructure 12

2.1. Information technology 12

2.2. Classifications 14

2.3. Business register 15

3. Economic, financial and trade statistics 17

4. Population and Social Conditions 18

5. Business Statistics 18

6. Other Statistics 19

7. Conclusions 21

8. Annexes 22

1.  Institutional aspects

1.1. Mission

The main mission of the State Committee of the Russian Federation on Statistics (Goskomstat of Russia) is the satisfaction of the requirements of the bodies of State authority and administration, the media, the population, the scientific community, private companies and enterpreneurs, international organisations, with an objective and exhaustive information. Its main tasks are to:

-  elaborate and implement state policy in the field of statistics

-  provide official statistical information on the economic, demographic and social situation in the country to government bodies of the Russian Federation, government bodies of the subjects of the Russian Federation, local authorities and to economic subjects, scientific and academic organisations, the mass media and citizens.

-  elaborate and develop a scientifically based methodology for conducting statistical surveys and develop statistical indicators, and ensure that the official methodology is in line with international standards.

-  co-ordinate the activity of the executive bodies in the field of state statistics by developing the information resources relating to the economic, demographic and social situation in the country

-  store and protect official statistical information

-  co-operate at international level in the field of statistics

1.2.  Structure and organisational aspects

·  Internal organisation of the Goskomstat of Russia

The statistical system is composed of the Central Office of Goskomstat (622 employees), the Computer Centre (761 employees), other central institutions (645 employees), territorial statistical committees (22 937 employees) and other staff employed at regional level (6 730 employees).

The central office of Goskomstat is organised into 20 sector departments. The full organisational chart is in annex 3.

·  Appointment procedures

The Goskomstat Chairman and his six Deputies are nominated by the Government. The positions have no specific duration, nor are there any terms in office. The nomination is valid till the government nominates other persons to the mentioned positions.

Heads of Department are appointed by the Chairman of Goskomstat of Russia, with no specific term in office.

·  Main Computer Centre (MCC)

The Main Computer Centre of Goskomstat is responsible for data collection, processing, automated treatment and archiving, with the objective to use the most up-to-date information technology.

·  Regional structure

There are 89 territorial committees (one per “subject” of the Russian Federation), and 2200 district departments (one per “raïon”). The functional structure is the following:

-  Federal Okrug. It is a new territorial division, created in the year 2000. It is a grouping of subjects. There are 7 federal okrugs in the Russian Federation.

-  Subject of the Russian Federation. There are 89 such subjects in the Russian Federation, of various sizes and population (in Siberia, they can be very vast, but with limited population). See map in annex. Some of the subjects have a specific legal and administrative status, such as Republic Tatarstan, for instance, or autonomous okrug (Koryak). Republics elect their President and have a local government. However, most subjects have the status of Regions, and elect a governor.

-  Raion. It is a subdivision of the regional level. There are around 2 200 raions in the Russian Federation.

Data collection takes place at the local level, and after a first level of aggregation at regional level, data is sent to Moscow, where the second level of aggregation takes place. Data concerning the regions is then sent back to regional offices, while nation-wide data is published and disseminated by the Goskomstat.

·  Scientific institutes

A few scientific institutes are part of the statistical system, and are very tightly collaborating with Goskomstat:

-  NII stat ( Scientific and Research Institute of problems of socio-economic statistics)

The Institute’s aims are to work on the reform of statistics, the development of theory and methodology in the domain of socio-economic statistics, in accordance to international standards, and the supply of analysis and recommendations based on the data collected and treated, to the administrative and government structures.

-  NIPI Statinform ( Scientific and research Institute on technological projects of the statistical information system of Goskomstat)

The objectives of the Institute are to develop the methods and means of computerisation of the statistical system with modern IT and telecommunication techniques and programs, and to fulfil the policy of modern data treatment in statistics through common and unified up to date software.

-  “Statistical questions” journal. It is a scientific publication with quarterly issues, and covers all aspects of official statistics, and research in statistics.

1.3 Legal setting

·  Law on statistics

There is no law on statistics. However, the Goskomstat is according to the article 71 of the Russian Constitution, responsible for the collection and publication of statistics in the Russian Federation. On 25.05.99 a President Decree changed the status and name of the Goskomstat to Russian Statistical Agency. It was restored to its status and name of Goskomstat (State Committee) by decree on 06.12.99.

·  Other relevant administrative regulations

In 1996, the government of the Russian Federation approved a long-term program on “ Reform of Statistics 1997-2000”, aimed at improvement of methodologies, modernisation of statistical enquiries and indicators, improvement of data collection and reduction of the cost of statistical work.

·  Data confidentiality

In accordance with the UN Statistical Commission basic principles, Goskomstat guarantees the confidentiality of reported information to all respondents. The information collected is solely for statistical purposes, in order to produce aggregated data, and raw data cannot be transmitted to other administrations. Maintaining the confidentiality of individual data is the basis of retaining the trust of respondents in the statistical bodies, and increases the quality and reliability of the data disseminated. Although there is no legal basis, the understanding of the need to respect confidentiality is progressing in Russia, in particular among enterprises, and more and more respondents to statistical enquiries put it as a condition to provide individual information.

Tacis is financing a component on Confidentiality within the current project on reform of regional statistics. The project aims to enable the Goskomstat to introduce practical measures at federal and regional level in order to guarantee the confidentiality of statistical data collected, treated, archived and disseminated. It also includes the preparation of a suitable proposal for introducing the confidentiality principle into the draft statistical law.

·  Legislative changes under preparation

Two important legal texts are under preparation:

- Law on the 2002 population census: this law is mandatory, as under the current Constitution, households are not obliged to fill-in the census forms or reply to interviews.

- Law on statistics: a new draft is being prepared and will be presented in 2001 to the State Duma.

1.4 Relationship with Central and Local Governments

·  Role of the NSI in the government

**Attached: calculated crystals:**
<<<
No. 1
# CsW2F

Crystalline CsW2F at its relaxed geometry (PBE with a Hubbard U, Alexandria via LeMat-Bulk).

abc: 5.562 5.562 5.562
angles: 60.00 60.00 60.00
Fractional coordinates of all 4 atoms:
Cs 0.000 0.000 0.000
W 0.250 0.250 0.250
W 0.750 0.750 0.750
F 0.500 0.500 0.500

Total energy   -2.670 eV per atom
Space-group type   No. 225
M_tot   11.06 μB per formula unit

***

No. 2
# Cs3WF

Crystalline Cs3WF at its relaxed geometry (PBE with a Hubbard U, Alexandria via LeMat-Bulk).

abc: 6.313 6.313 6.313
angles: 90.00 90.00 90.00
Fractional coordinates of all 5 atoms:
Cs 0.000 0.000 0.500
Cs 0.000 0.500 0.000
Cs 0.500 0.000 0.000
W 0.000 0.000 0.000
F 0.500 0.500 0.500

Total energy   -1.878 eV per atom
Space-group type   No. 221
M_tot   5.38 μB per formula unit

***

No. 3
# Cs2YWF6

Crystalline Cs2YWF6 at its relaxed geometry (PBE with a Hubbard U, Alexandria via LeMat-Bulk).

abc: 6.798 6.798 6.798
angles: 114.18 114.18 100.41
Fractional coordinates of all 10 atoms:
Cs 0.250 0.750 0.500
Cs 0.750 0.250 0.500
Y 0.000 0.000 0.000
W 0.500 0.500 0.000
F 0.208 0.208 0.415
F 0.208 0.792 0.000
F 0.258 0.258 0.000
F 0.742 0.742 0.000
F 0.792 0.208 0.000
F 0.792 0.792 0.585

Total energy   -5.335 eV per atom
Space-group type   No. 139
M_tot   3.00 μB per formula unit

***

No. 4
# Cs2ZnWF6

Crystalline Cs2ZnWF6 at its relaxed geometry (PBE with a Hubbard U, Alexandria via LeMat-Bulk).

abc: 6.481 6.481 6.481
angles: 119.73 119.73 90.46
Fractional coordinates of all 10 atoms:
Cs 0.250 0.750 0.500
Cs 0.750 0.250 0.500
Zn 0.000 0.000 0.000
W 0.500 0.500 0.000
F 0.266 0.266 0.000
F 0.268 0.268 0.536
F 0.268 0.732 0.000
F 0.732 0.268 0.000
F 0.732 0.732 0.464
F 0.734 0.734 0.000

Total energy   -4.528 eV per atom
Space-group type   No. 139
M_tot   4.00 μB per formula unit

***

No. 5
# Cs2ZrWF6

Crystalline Cs2ZrWF6 at its relaxed geometry (PBE with a Hubbard U, Alexandria via LeMat-Bulk).

abc: 6.970 6.970 6.970
angles: 112.79 112.79 103.02
Fractional coordinates of all 10 atoms:
Cs 0.250 0.750 0.500
Cs 0.750 0.250 0.500
Zr 0.000 0.000 0.000
W 0.500 0.500 0.000
F 0.186 0.186 0.372
F 0.186 0.814 0.000
F 0.240 0.240 0.000
F 0.760 0.760 0.000
F 0.814 0.186 0.000
F 0.814 0.814 0.628

Total energy   -5.405 eV per atom
Space-group type   No. 139
M_tot   4.00 μB per formula unit


(1)
FeAsPb2: relaxed, GGA-PBE.

## Properties
Space-group type: R-3m (166)
Total energy: -4.5635 eV/atom

Cell and atoms, written as POSCAR:
```
FeAsPb2
1.0
-5.398 0.325 8.344
-3.049 -1.799 9.292
-2.518 1.456 9.508
Pb Fe As
2 1 1
direct
0.009 0.009 0.009
0.491 0.491 0.491
0.750 0.750 0.750
0.250 0.250 0.250
```

(2)
DyNi2: relaxed, GGA-PBE.

## Properties
Space-group type: I4/mmm (139)
Total energy: -5.5503 eV/atom

Cell and atoms, written as POSCAR:
```
DyNi2
1.0
3.310 0.000 0.000
0.000 3.310 0.000
-1.655 -1.655 4.427
Ni Dy
2 1
direct
0.688 0.688 0.376
0.312 0.312 0.624
0.000 0.000 0.000
```


Record 1
Pm2Pr3Ho2 | GGA-PBE | optimized geometry

```
Pm2Pr3Ho2
1.0
23.368 0.000 0.000
>>>

Goskomstat provides official statistical information to government bodies of the Russian Federation and local authorities. The activity of the Goskmostat is governed by the Russian Constitution, federal laws, decrees and orders of the President of the Russian Federation, decisions and orders of the Government of the Russian Federation.

·  Relations and Links at central level with Ministries

Goskomstat has the responsibility of inter-branch coordination and functional control of the statistical system. It fulfils this task, notably, through the development of the Federal Programme of Statistical Work. Statistical activity is also coordinated at national level on the basis of common methodology.

Goskomstat is entitled to receive, on the basis of forms of state statistical reporting information from federal executive bodies of the subjects of the Russian Federation and local authorities. A close co-operation is long established with the Ministry of Justice, which is responsible for State registration of businesses, with the State Customs Committee, which is responsible for External Trade data recording, and other Federal and Regional administrations, such as Ministries of Agriculture or Transport. An agreement on access to data from the Tax Administration is foreseen in the near future, but is linked to modifications in the current legislation on confidentiality for the Tax Administration that prevents it to supply information to other entities or private persons, including the Goskomstat.

·  Protection of NSI independence

Goskomstat follows the basic principles of the 1994 UN Statistical Commission on this point too. It is foreseen to protect its independence explicitly in the upcoming law on statistics. The Goskomstat is independent in choosing statistical methods and in producing statistics. It also controls the conformity of other producers' methods for collecting, processing and releasing official statistics.

·  Relations and Links at regional level with Local Governments

Under the current statute of Goskomstat, it is responsible to provide statistical information to central and regional executive bodies. Due to its important network of regional and local offices, the Goskomstat maintains close relations at regional level with local governments. In fact, all the data collection is done at local level, and 70% of the data is processed at local level.

1.5 Relationship with users and dissemination policies

·  Relationship with users

The users are divided in different categories: government users and policy makers, enterprises and entrepreneurs, citizens, academics and researchers. In the past, government users were clearly a priority for the Goskomstat, but it is clear that the focus has shifted towards other users in the recent years, and now, enterprises and citizens visibly targeted by new campaigns of information, and the release of new information media (internet, CD-ROMs…)

Setting-up a regular dialogue with users of statistics has clearly become a priority for Goskomstat. A Tacis financed project has been carried out to support this orientation and has just been completed. The main outcomes include the development of a new policy towards mass media, the setting-up of a press service, the launching of customer surveys and the increased use of Internet as dissemination channel. Further work will be undertaken in this direction under the implementation of the World Bank STASYS project (see annex 7) particularly planned is to finance the creation of press services in all regional offices.

·  Dissemination and marketing policy

After a long tradition of publishing large amounts of data in hard copy, the Goskomstat has pursued lately a policy of electronic dissemination, with the opening of its web site ( in August 1998, and since then many publications are also available on CD-ROM.

The web server also has an English language version, with reduced information available.

The Russian version publishes on-line many databases, such as the ones contained in the following publications:

-  Russian statistical yearbook

-  Regions of the Russia

-  Socio-economic situation in Russia (monthly data)

Tacis is financing a project on data exchange, which aims to exchange data with Eurostat, and to create the EUROROS database. This database, which is soon to be opened to authorised users (password access), contains the main statistical indicators both for Russia and the European Union.

Russian data is now available in the Eurostat database NEWCRONOS, and quarterly data is sent according to the new Memorandum of Understanding signed between Goskomstat and Eurostat.

A Tacis project on dissemination of information from databases is also on going. One of the main instruments of a timely and efficient dissemination of statistical data is a statistical database. Data dissemination from statistical databases using modern electronic means of presenting information is a direction which will help to solve the tasks of providing data timeliness and quality and at the same time it meets the interests of statistical data users. The main means of disseminating data from statistical databases using modern technologies are:

- Compact disks containing databases;

- The use of the Internet for data delivery from databases and providing on-line access to databases;

- The application of geographic information systems (GIS) for statistical data.

The Goskomstat has some experience in producing compact disks containing official publications. However, the output of compact disks with statistical databases and the presentation of statistical databases in the Internet have been constrained by the absence of specific software customised for these functions. This software will provide statistical data presentation in a database format and will have a user-friendly interface.

The use of geographic information technologies for statistical data processing will significantly increase the information content and visual capacities of statistical data as well as provide additional opportunities for their analysis and comparison.

The information Centre “Informatics”, affiliated with Main Computer Centre (MCC), has the exclusive right to distribute all official statistical publications and their electronic version (diskettes, CD-ROM and via Internet) which contain reliable and up-to-date information.

·  Relations with the press

Press conferences are held regularly, particularly before the publication of the main yearly publications, or the official release of the main monthly and quarterly statistical indicators (inflation, GDP, unemployment…) (see annex 5).

·  Publication of sensitive data

All main economic indicators are regularly published, monthly or quarterly, and widely disseminated.

·  Monitoring the demand for statistics

A database of actual clients is being held and monitored at Goskomstat, in order to assess demand for statistics publications. Tacis financed a project on Dialogue with users, which was completed in November 2000. A questionnaire was sent to 800 Goskomstat clients, and results were analysed. A marketing plan will be drawn out of it in the near future. Better communication with users and respondents is the key to a new relationship between enterprises, citizens and the Goskomstat, as was highlighted by the project, during its last action, a seminar in which attended representatives from most Russian regional offices. The main perspectives for dissemination of statistical information are the use of internet as a tool to disseminate statistical information, the improvement of the statistical literacy of the various user groups, the relations with mass media and information brokers, and co-ordination at a national and international level.